Someone recently said to me, “Advertising is simple, it’s just about selling more stuff.”

Well for me that’s a bit like saying, “Shakespeare’s job was simple. It was just about writing great plays.”

Or, “Napoleon’s job was simple. It was just about winning battles.”

Or, “Ferguson’s job is simple. It’s just about winning more games.”

I think we can assume that.

I don’t think that’s an insight.

I think most people in advertising can agree on that.

What most people struggle with, is how.

Or when.

Or where.

Or to who.

Or even why.

Because there isn’t a simple answer that works for everything, everywhere, always.

For instance, is your product an FMCG, or a consumer durable?

The rules are very different.

FMCG stands for ‘Fast Moving Consumer Goods’.

Pretty much everything you see on the shelves at the supermarket.

They’re called fast moving because they have to replaced regularly.

Sometimes, like confectionary, you use it once and it’s gone.

They’re usually comparatively cheap.

So you don’t spend ages thinking about the purchase decision.

It’s much more right brain: emotion.

Do you fancy it?

Yup, fair enough.

It’ll probably cost under £1.

So you buy it and try it.

If you like it you buy another one tomorrow.

If you don’t, no big deal, try something else.

You don’t need to think about it too much.

It’s usually about short-term sensory enjoyment.

So branding is much more important than product performance.

No one really cares if the flavour lasts 12% longer.

Or it’s got 7% more bubbles.

Or it’s easier to grip, convenient to use, and comes in a resealable container.

You’re buying a brief period of sensory enjoyment.

A taste, a feeling, an emotion.

But a consumer durable may be exactly the opposite.

Durable means it’s going to last a long time.

So you need to choose the right one.

And it’s probably a lot more expensive.

Like a car.

Or a washing machine.

Or a TV.

If you make the wrong decision it costs considerably more than £1.

And you can’t just buy another one tomorrow.

So that’s very different to an FMCG.

Britain’s car industry died because the people running it thought it was ‘just about selling stuff’.

So they made the cars cheaper and cheaper.

They were chasing volume.

Eventually they were only making about £50 per unit profit.

{
  "formula": "Ba2FeMoC",
  "functional": "PBE",
  "state": "optimized geometry",
  "m_tot_mub_per_cell": 3.1,
  "total_energy_ha_per_atom": -0.1915,
  "crystal_system": "tetragonal",
  "volume_a3_per_atom": 29.326,
  "formation_energy_kj_per_mol_atoms": 121.8,
  "cell": [[6.049, 0.000, 0.000], [0.000, 6.049, 0.000], [0.000, 0.000, 4.008]],
  "species": ["Ba", "Ba", "Fe", "Mo", "C"],
  "frac_coords": [[0.000, 0.500, 0.000], [0.500, 0.000, 0.000], [0.000, 0.000, 0.500], [0.500, 0.500, 0.000], [0.500, 0.500, 0.500]]
}

=====

[1]
DFT (PBE-GGA) results for a relaxed structure of MgAlFeCu.

Calculated values
- Distance to the lowest polymorph of the same formula: 0 meV/atom
- Calculated volume: 211.0 Å³ per cell

a = 5.9533 Å, b = 5.9533 Å, c = 5.9533 Å
α = 90.00°, β = 90.00°, γ = 90.00°
Last column: nearest neighbours and their distance in Å.
Space group F-43m (No. 216)
One atom of each set of equivalent atoms:
Mg: 0.0000 0.0000 0.0000  4 Fe 2.58, 4 Cu 2.58
Al: 0.0000 0.0000 0.5000  4 Fe 2.58, 4 Cu 2.58
Fe: 0.2500 0.2500 0.2500  4 Mg 2.58, 4 Al 2.58
Cu: 0.2500 0.2500 0.7500  4 Mg 2.58, 4 Al 2.58


[2]
DFT (PBE-GGA) results for a relaxed structure of NaIn2CuSe4.

Calculated values
- Calculated volume: 448.2 Å³ per cell
- E_tot: -3.662 eV/atom

a = 6.0942 Å, b = 6.0942 Å, c = 12.0687 Å
α = 90.00°, β = 90.00°, γ = 90.00°
Last column: nearest neighbours and their distance in Å.
Space group I-4 (No. 82)
One atom of each set of equivalent atoms:
Na: 0.0000 0.0000 0.0000  4 Se 2.79
In: 0.0000 0.0000 0.5000  4 Se 2.63
In: 0.0000 0.5000 0.7500  4 Se 2.66
Cu: 0.0000 0.5000 0.2500  4 Se 2.46
Se: 0.2252 0.7481 0.3641  1 Cu 2.46, 2 In 2.63-2.66


[3]
DFT (PBE-GGA) results for a relaxed structure of YTmGa4Pt2.

Calculated values
- Calculated volume: 296.1 Å³ per cell
- E_tot: -5.324 eV/atom

a = 6.7096 Å, b = 4.3544 Å, c = 10.1339 Å
α = 90.00°, β = 90.00°, γ = 90.00°
Last column: nearest neighbours and their distance in Å.
Space group Amm2 (No. 38)
One atom of each set of equivalent atoms:
Y: 0.0000 0.0000 0.0000  3 Pt 2.93-3.05, 6 Ga 3.02-3.20
Tm: 0.5000 0.0000 0.8329  3 Pt 2.93-3.05, 6 Ga 3.01-3.18
Ga: 0.1985 0.0000 0.2875  3 Pt 2.63-2.67, 2 Ga 2.66-2.72
Ga: 0.3034 0.0000 0.5471  3 Pt 2.63-2.66, 2 Ga 2.64-2.72
Pt: 0.0000 0.0000 0.7111  6 Ga 2.63-2.67, 1 Y 2.93
Pt: 0.5000 0.0000 0.1222  6 Ga 2.63-2.66, 1 Tm 2.93


[4]
DFT (PBE-GGA) results for a relaxed structure of DyCdHg.

Calculated values
- Calculated volume: 349.9 Å³ per cell
- ΔE_f: 0.006 eV/atom

a = 7.0468 Å, b = 7.0468 Å, c = 7.0468 Å
α = 90.00°, β = 90.00°, γ = 90.00°
Last column: nearest neighbours and their distance in Å.
Space group F-43m (No. 216)
One atom of each set of equivalent atoms:
Dy: 0.0000 0.0000 0.0000  4 Cd 3.05, 4 Hg 3.05
Cd: 0.2500 0.2500 0.7500  4 Dy 3.05
Hg: 0.2500 0.2500 0.2500  4 Dy 3.05


[5]
DFT (PBE-GGA) results for a relaxed structure of YZnNiB.

Calculated values
- Calculated volume: 233.2 Å³ per cell
- E_tot: -4.855 eV/atom

a = 6.1555 Å, b = 6.1555 Å, c = 6.1555 Å
**The materials data stop here:**

Mercedes meanwhile were all about build-quality.

So they could sell fewer cars for more money.

They were making around £1,000 profit per unit.

Which meant, to make the same profit as a single Mercedes, British Leyland needed to sell 20 cars.

Not a sound business model.

So again, it wasn’t just about selling stuff.

But sometimes it is.

Take newspapers.

In order to take sales away from The Mirror, Murdoch cut the price of The Sun to 20p.

Then he cut it to 10p.

Isn’t that the same thinking that put British Leyland out of business?

Chasing volume.

Well not quite.

The Sun is similar to an FMCG.

British Leyland was a consumer-durable.

Very different markets.

With a paper you’re building trial, which should turn into a daily habit.

With a car it’s one sale, one profit, finish.

Repeat purchase won’t happen for years.

Plus which, something else Murdoch was the first to spot.

Newspapers have advertising.

The more readers he could claim, the more he could sell the advertising space for.

That’s how the daily free sheets work nowadays.

And that’s what Murdoch did.

Build up the circulation by charging less for the product.

So he could charge more for the advertising.

The model that would kill off a consumer durable works well for a newspaper.

And there’s another interesting area.

Distress purchases: things that you don’t want to buy but you have to.

Like insurance: car, medical, travel, house, pet, etc.

Or electricity, or gas.

Or credit cards.

Things where product performance may be more important than brand image.

Sometimes the answer may not even be in the product.

It may be in the customer.

Take mobile phones.

If you’re selling to a teenage boy he wants something very different to a businessman.

A young girl wants something very different to a housewife.

Sometimes we can find the answer by looking at the consumer a different way.

Sometimes by looking at the product, and what it does, a different way.

Sometimes by looking at the brand a different way.

Sometimes by looking at the entire market in a different way.

Spot the common link.

We can’t go on autopilot.

We have to be prepared to think differently each time.

And we won’t do that by approaching each problem the same way.

So it’s true, “Advertising is simple. It’s just about selling more stuff.”

But that doesn’t really help us much.

The question is how.